[Input]
Record 1
! CaMg15 PBE optimized geometry; values from VASP
&SYSTEM
  ibrav = 0, nat = 16, ntyp = 2
/
ATOMIC_SPECIES
Ca 40.08 Ca.upf
Mg 24.30 Mg.upf
CELL_PARAMETERS angstrom
-1.042 4.333 -4.785
-4.593 -4.416 1.469
-4.133 6.581 6.859
ATOMIC_POSITIONS angstrom
Ca -2.226 1.417 -2.700
Mg -4.292 4.707 0.730
Mg -1.736 -0.763 -0.313
Mg -3.768 2.542 3.122
Mg -3.991 -2.931 0.408
Mg -6.069 0.331 3.858
Mg -4.502 -0.804 -1.941
Mg -6.590 2.501 1.462
Mg -3.362 -0.522 2.471
Mg -5.386 2.702 5.831
Mg -3.877 1.623 0.102
Mg -5.902 4.847 3.462
Mg -6.152 -0.563 0.829
Mg -8.176 2.661 4.189
Mg -1.024 1.631 1.700
Mg -3.108 4.950 5.159
! DFT total energy   -25.81 eV per cell
! ρ   1.75 g/cm3


Record 2
! CaMg2 PBE optimized geometry; values from VASP
&SYSTEM
  ibrav = 0, nat = 6, ntyp = 2
/
ATOMIC_SPECIES
Ca 40.08 Ca.upf
Mg 24.30 Mg.upf
CELL_PARAMETERS angstrom
-0.207 -4.890 -3.308
2.577 -4.963 1.902
-4.074 -4.568 2.113
ATOMIC_POSITIONS angstrom
Ca 1.306 -6.098 1.958
Ca -3.010 -8.322 -1.250
Mg -2.027 -6.730 1.537
Mg -1.258 -9.986 1.080
Mg -0.446 -4.434 -0.372
Mg 0.323 -7.690 -0.829
! DFT total energy   -10.39 eV per cell
! ρ   1.73 g/cm3


Record 3
! Ca5Mg PBE optimized geometry; values from VASP
&SYSTEM
  ibrav = 0, nat = 6, ntyp = 2
/
ATOMIC_SPECIES
Ca 40.08 Ca.upf
Mg 24.30 Mg.upf
CELL_PARAMETERS angstrom
1.562 0.585 6.320
-5.787 2.149 -2.149
-2.472 -5.535 1.123
ATOMIC_POSITIONS angstrom
Ca -0.179 -2.372 4.841
Ca -2.601 -1.885 1.908
Ca -5.155 -1.313 -0.894
Ca -0.888 1.106 3.497
Ca -3.338 1.627 0.674
Mg 0.000 0.000 0.000
! DFT total energy   -11.58 eV per cell
! Distance to the lowest polymorph of the same formula   0 meV per atom
! ρ   1.64 g/cm3


Record 4
! Ca5Mg PBE optimized geometry; values from VASP
&SYSTEM
  ibrav = 0, nat = 6, ntyp = 2
/
ATOMIC_SPECIES
Ca 40.08 Ca.upf
Mg 24.30 Mg.upf
CELL_PARAMETERS angstrom
1.608 -7.261 0.026
3.645 -5.816 -2.863
7.365 -0.721 4.831
ATOMIC_POSITIONS angstrom
Ca 0.132 -0.079 0.054
Ca 4.140 -4.488 0.674
Ca 9.370 -12.868 0.170
Ca 8.388 -9.196 1.314
Ca 8.467 -4.267 3.835
Mg 5.254 -8.196 -0.395
! DFT total energy   -11.53 eV per cell
! Distance to the lowest polymorph of the same formula   8 meV per atom
! ρ   1.60 g/cm3


Record 5
! Ca5Mg PBE optimized geometry; values from VASP
&SYSTEM
  ibrav = 0, nat = 6, ntyp = 2
/
ATOMIC_SPECIES
Ca 40.08 Ca.upf
Mg 24.30 Mg.upf
CELL_PARAMETERS angstrom
1.908 -3.305 0.000
1.908 3.305 0.000
0.000 0.000 18.738
ATOMIC_POSITIONS angstrom
Ca 1.908 -1.102 15.980
Ca 0.000 0.000 12.655
Ca 1.908 -1.102 9.369
Ca 0.000 0.000 6.083
Ca 1.908 -1.102 2.757
Mg 0.000 0.000 0.000
! DFT total energy   -11.42 eV per cell
! Distance to the lowest polymorph of the same formula   27 meV per atom
! ρ   1.58 g/cm3


Record 6
! CaMg PBE optimized geometry; values from VASP
&SYSTEM
  ibrav = 0, nat = 6, ntyp = 2
/
ATOMIC_SPECIES
Ca 40.08 Ca.upf
Mg 24.30 Mg.upf
CELL_PARAMETERS angstrom
-3.618 0.493 -0.512
1.329 -3.381 0.634
-2.021 2.302 16.500
ATOMIC_POSITIONS angstrom
Ca 0.000 0.000 0.000
Ca -3.598 1.056 13.165
Ca -2.362 -0.351 3.075
Mg -1.298 1.479 10.599
Mg -2.980 0.352 8.120
Mg -0.723 0.823 5.901
! DFT total energy   -10.25 eV per cell
! ρ   1.62 g/cm3


Record 7
! CaMg2 PBE optimized geometry; values from VASP
&SYSTEM
  ibrav = 0, nat = 6, ntyp = 2
/
ATOMIC_SPECIES
Ca 40.08 Ca.upf
Mg 24.30 Mg.upf
CELL_PARAMETERS angstrom
-5.518 -1.349 -2.219
2.545 -2.971 4.678
-2.251 3.519 3.459
ATOMIC_POSITIONS angstrom
Ca -3.780 -0.401 4.325
Ca -1.443 -0.400 1.593
Mg -6.211 0.276 2.056
Mg -1.123 -0.748 6.407
Mg -4.100 -0.053 -0.489
Mg 0.987 -1.076 3.863
! DFT total energy   -10.65 eV per cell
! ρ   1.75 g/cm3


Record 8
! CaMg2 PBE optimized geometry; values from VASP
&SYSTEM
  ibrav = 0, nat = 6, ntyp = 2
/
ATOMIC_SPECIES
Ca 40.08 Ca.upf
Mg 24.30 Mg.upf
CELL_PARAMETERS angstrom
1.742 -3.017 0.000
1.742 3.017 0.000
0.000 0.000 16.686
ATOMIC_POSITIONS angstrom
Ca 0.000 0.000 5.463
Ca 0.000 0.000 11.223
Mg 0.000 0.000 0.000
Mg 1.742 -1.006 2.586
Mg 1.742 -1.006 8.343
Mg 1.742 -1.006 14.100
[Exercise]
Now print the whole of the data further above unchanged.
[Written answer]
Record 1
! CaMg15 PBE optimized geometry; values from VASP
&SYSTEM
  ibrav = 0, nat = 16, ntyp = 2
/
ATOMIC_SPECIES
Ca 40.08 Ca.upf
Mg 24.30 Mg.upf
CELL_PARAMETERS angstrom
-1.042 4.333 -4.785
-4.593 -4.416 1.469
-4.133 6.581 6.859
ATOMIC_POSITIONS angstrom
Ca -2.226 1.417 -2.700
Mg -4.292 4.707 0.730
Mg -1.736 -0.763 -0.313
Mg -3.768 2.542 3.122
Mg -3.991 -2.931 0.408
Mg -6.069 0.331 3.858
Mg -4.502 -0.804 -1.941
Mg -6.590 2.501 1.462
Mg -3.362 -0.522 2.471
Mg -5.386 2.702 5.831
Mg -3.877 1.623 0.102
Mg -5.902 4.847 3.462
Mg -6.152 -0.563 0.829
Mg -8.176 2.661 4.189
Mg -1.024 1.631 1.700
Mg -3.108 4.950 5.159
! DFT total energy   -25.81 eV per cell
! ρ   1.75 g/cm3


Record 2
! CaMg2 PBE optimized geometry; values from VASP
&SYSTEM
  ibrav = 0, nat = 6, ntyp = 2
/
ATOMIC_SPECIES
Ca 40.08 Ca.upf
Mg 24.30 Mg.upf
CELL_PARAMETERS angstrom
-0.207 -4.890 -3.308
2.577 -4.963 1.902
-4.074 -4.568 2.113
ATOMIC_POSITIONS angstrom
Ca 1.306 -6.098 1.958
Ca -3.010 -8.322 -1.250
Mg -2.027 -6.730 1.537
Mg -1.258 -9.986 1.080
Mg -0.446 -4.434 -0.372
Mg 0.323 -7.690 -0.829
! DFT total energy   -10.39 eV per cell
! ρ   1.73 g/cm3


Record 3
! Ca5Mg PBE optimized geometry; values from VASP
&SYSTEM
  ibrav = 0, nat = 6, ntyp = 2
/
ATOMIC_SPECIES
Ca 40.08 Ca.upf
Mg 24.30 Mg.upf
CELL_PARAMETERS angstrom
1.562 0.585 6.320
-5.787 2.149 -2.149
-2.472 -5.535 1.123
ATOMIC_POSITIONS angstrom
Ca -0.179 -2.372 4.841
Ca -2.601 -1.885 1.908
Ca -5.155 -1.313 -0.894
Ca -0.888 1.106 3.497
Ca -3.338 1.627 0.674
Mg 0.000 0.000 0.000
! DFT total energy   -11.58 eV per cell
! Distance to the lowest polymorph of the same formula   0 meV per atom
! ρ   1.64 g/cm3


Record 4
! Ca5Mg PBE optimized geometry; values from VASP
&SYSTEM
  ibrav = 0, nat = 6, ntyp = 2
/
ATOMIC_SPECIES
Ca 40.08 Ca.upf
Mg 24.30 Mg.upf
CELL_PARAMETERS angstrom
1.608 -7.261 0.026
3.645 -5.816 -2.863
7.365 -0.721 4.831
ATOMIC_POSITIONS angstrom
Ca 0.132 -0.079 0.054
Ca 4.140 -4.488 0.674
Ca 9.370 -12.868 0.170
Ca 8.388 -9.196 1.314
Ca 8.467 -4.267 3.835
Mg 5.254 -8.196 -0.395
! DFT total energy   -11.53 eV per cell
! Distance to the lowest polymorph of the same formula   8 meV per atom
! ρ   1.60 g/cm3


Record 5
! Ca5Mg PBE optimized geometry; values from VASP
&SYSTEM
  ibrav = 0, nat = 6, ntyp = 2
/
ATOMIC_SPECIES
Ca 40.08 Ca.upf
Mg 24.30 Mg.upf
CELL_PARAMETERS angstrom
1.908 -3.305 0.000
1.908 3.305 0.000
0.000 0.000 18.738
ATOMIC_POSITIONS angstrom
Ca 1.908 -1.102 15.980
Ca 0.000 0.000 12.655
Ca 1.908 -1.102 9.369
Ca 0.000 0.000 6.083
Ca 1.908 -1.102 2.757
Mg 0.000 0.000 0.000
! DFT total energy   -11.42 eV per cell
! Distance to the lowest polymorph of the same formula   27 meV per atom
! ρ   1.58 g/cm3


Record 6
! CaMg PBE optimized geometry; values from VASP
&SYSTEM
  ibrav = 0, nat = 6, ntyp = 2
/
ATOMIC_SPECIES
Ca 40.08 Ca.upf
Mg 24.30 Mg.upf
CELL_PARAMETERS angstrom
-3.618 0.493 -0.512
1.329 -3.381 0.634
-2.021 2.302 16.500
ATOMIC_POSITIONS angstrom
Ca 0.000 0.000 0.000
Ca -3.598 1.056 13.165
Ca -2.362 -0.351 3.075
Mg -1.298 1.479 10.599
Mg -2.980 0.352 8.120
Mg -0.723 0.823 5.901
! DFT total energy   -10.25 eV per cell
! ρ   1.62 g/cm3


Record 7
! CaMg2 PBE optimized geometry; values from VASP
&SYSTEM
  ibrav = 0, nat = 6, ntyp = 2
/
ATOMIC_SPECIES
Ca 40.08 Ca.upf
Mg 24.30 Mg.upf
CELL_PARAMETERS angstrom
-5.518 -1.349 -2.219
2.545 -2.971 4.678
-2.251 3.519 3.459
ATOMIC_POSITIONS angstrom
Ca -3.780 -0.401 4.325
Ca -1.443 -0.400 1.593
Mg -6.211 0.276 2.056
Mg -1.123 -0.748 6.407
Mg -4.100 -0.053 -0.489
Mg 0.987 -1.076 3.863
! DFT total energy   -10.65 eV per cell
! ρ   1.75 g/cm3


Record 8
! CaMg2 PBE optimized geometry; values from VASP
&SYSTEM
  ibrav = 0, nat = 6, ntyp = 2
/
ATOMIC_SPECIES
Ca 40.08 Ca.upf
Mg 24.30 Mg.upf
CELL_PARAMETERS angstrom
1.742 -3.017 0.000
1.742 3.017 0.000
0.000 0.000 16.686
ATOMIC_POSITIONS angstrom
Ca 0.000 0.000 5.463
Ca 0.000 0.000 11.223
Mg 0.000 0.000 0.000
Mg 1.742 -1.006 2.586
Mg 1.742 -1.006 8.343
Mg 1.742 -1.006 14.100